Matteo was easilysix foot four, if not taller. I had to crane my neck to take him in fully. It was worth it to watch him push his long hair out of his eyes as they met mine, and time seemed to still. He was the perfect, real-life definition of ruggedly handsome with a touch of danger.

Maybe it was because he was so big, or maybe it was some fight-or-flight instinct kicking in, but something about him screamed: “run.” And yet I stayed in place, no regard for my safety. I wanted to fall into his danger in a way I’d never experienced.

After locking up the shop, we walked side-by-side to the ice cream shop, talking casually. His hot gaze was like lava pouring directly into my veins.Yeah, he’s dangerous as all get out.Maybe I liked to play with fire. Was it terrible that even if he was possibly the mobster from the phone, I still wanted to go on a date with him on the off-chance I’d get to see under that suit?

Yes, definitely. Times infinity.

Tall, dark, and handsome was not a cliche with him. It was a goddamn gift. He stepped closer to me as we entered the shop, so there was only a sliver of space between us. My eyes drifted to his chest, spotting the tattoos peeking from the collar of his shirt. All bets were off as my mind went on a tangent, imagining what he looked like without clothes.

Look away! Abort!

[These data records were left in the entry by mistake]
~~~
(1)
Here is an optimized crystal structure of CsSn3Br12 from Alexandria. Energies are from GGA-PBE.

a = 9.3500 Å, b = 13.9194 Å, c = 13.9194 Å
α = 120.00°, β = 90.00°, γ = 90.00°
Fractional coordinates of all 32 atoms:
Br: 0.9676 0.5673 0.7982
Br: 0.2500 0.9904 0.8469
Br: 0.0324 0.7691 0.5673
Br: 0.7500 0.8469 0.8565
Br: 0.2500 0.4526 0.4684
Br: 0.7500 0.5474 0.5316
Br: 0.7500 0.0096 0.1531
Br: 0.2500 0.1531 0.1435
Br: 0.7500 0.9842 0.4526
Br: 0.4676 0.7691 0.5673
Br: 0.2500 0.8565 0.0096
Br: 0.0324 0.4327 0.2018
Br: 0.2500 0.5316 0.9842
Br: 0.2500 0.0158 0.5474
Br: 0.0324 0.7982 0.2309
Br: 0.7500 0.1435 0.9904
Br: 0.4676 0.7982 0.2309
Br: 0.7500 0.4684 0.0158
Br: 0.5324 0.2018 0.7691
Br: 0.9676 0.2309 0.4327
Br: 0.5324 0.5673 0.7982
Br: 0.9676 0.2018 0.7691
Br: 0.4676 0.4327 0.2018
Br: 0.5324 0.2309 0.4327
Sn: 0.7500 0.2571 0.8953
Sn: 0.2500 0.7429 0.1047
Sn: 0.2500 0.3619 0.2571
Sn: 0.7500 0.1047 0.3619
Sn: 0.7500 0.6381 0.7429
Sn: 0.2500 0.8953 0.6381
Cs: 0.7500 0.6667 0.3333
Cs: 0.2500 0.3333 0.6667

## Properties
Uncorrected formation energy   -0.763 eV/atom
VASP energy   -2.821 eV per atom

***

(2)
Here is an optimized crystal structure of CsSnBr3 from Alexandria. Energies are from GGA-PBE.

a = 5.7770 Å, b = 5.7770 Å, c = 12.1744 Å
α = 90.00°, β = 90.00°, γ = 120.00°
Fractional coordinates of all 10 atoms:
Br: 0.6667 0.3333 0.5532
Br: 0.6667 0.3333 0.9468
Br: 0.3333 0.6667 0.0532
Br: 0.3333 0.6667 0.4468
Br: 0.0000 0.0000 0.7500
Br: 0.0000 0.0000 0.2500
Sn: 0.0000 0.0000 0.5000
Sn: 0.0000 0.0000 0.0000
Cs: 0.6667 0.3333 0.2500
Cs: 0.3333 0.6667 0.7500

## Properties
Uncorrected formation energy   -1.042 eV/atom
VASP energy   -3.017 eV per atom

***

(3)
Here is an optimized crystal structure of Cs2SnBr5 from Alexandria. Energies are from GGA-PBE.

a = 7.8176 Å, b = 7.8176 Å, c = 7.8176 Å
α = 96.83°, β = 116.14°, γ = 116.14°
Each line ends with the local moment (μB).
Fractional coordinates of all 8 atoms:
Br: 0.0000 0.2684 0.2684  0.01
Br: 0.0000 0.7511 0.2239  0.03
Br: 0.0000 0.2239 0.7511  0.03
Br: 0.4728 0.2239 0.2239  0.03
Br: 0.5272 0.7511 0.7511  0.03
Cs: 0.5000 0.2427 0.7427  0.00
Cs: 0.5000 0.7427 0.2427  0.00
Sn: 0.0000 0.0184 0.0184  0.06

## Properties
Uncorrected formation energy   -1.242 eV/atom
Distance to the lowest polymorph of the same formula   0.040 eV per atom
VASP energy   -3.002 eV per atom

***

(4)
Here is an optimized crystal structure of Cs2Sn3Br10 from Alexandria. Energies are from GGA-PBE.

a = 8.3245 Å, b = 11.2978 Å, c = 14.3406 Å
α = 112.25°, β = 106.87°, γ = 90.00°
Fractional coordinates of all 30 atoms:
Sn: 0.2545 0.0000 0.0000
Sn: 0.1789 0.0410 0.3578
Sn: 0.9245 0.5122 0.8490
Sn: 0.7455 0.0000 0.0000
Sn: 0.0755 0.4878 0.1510
Sn: 0.8211 0.9590 0.6422
Br: 0.9776 0.7670 0.9552
Br: 0.1184 0.7439 0.2367
Br: 0.7735 0.5000 0.0000
Br: 0.2402 0.2959 0.4803
Br: 0.5129 0.1825 0.0257
Br: 0.0224 0.2330 0.0448
Br: 0.6189 0.9367 0.7695
Br: 0.7598 0.7041 0.5197
Br: 0.4871 0.8175 0.9743
Br: 0.8494 0.0633 0.2305
~~~

His eyes met mine, and I looked away, a blush heating my cheeks at being caught ogling him. One more glance his way confirmed he’d seen me as he smirked to himself.

“Do you have a favorite flavor of ice cream?”

“Depends on my mood. I like chocolate peanut butter most days, but sometimes, the nostalgia of cotton candy is just what the doctor ordered.” Needing to look anywhere but at him, I looked around the parlor, taking in the retro vibes they had created. “What’s yours?”

“Whatever you taste like,” he said simply, stepping up beside me and nonchalantly tucking his hands into his pockets.

Heat flooded my body, and I imagined what it would be like for him totasteme. My eyes snapped to the sign hanging off the wall, and I forced myself to read every word until I cooled off again. I wished he’d say something, anything to distract me from myself.

“It would appear they have both here. How are you going to pick?”

I glanced at him before my eyes flicked to the sign to see he was right. There was cotton candy and chocolate peanut butter on the menu.

“You’ll have to get both.”He shrugged, meeting my eyes this time before smiling slightly.

“Both? Chocolate and cotton candy do not go together.”

The line moved, and we went with it, stepping up to order. I made a fly-by decision and asked for the chocolate peanut butter, only for Matteo to surprise me and order a cotton candy for himself. The scrawny kid at the counter must’ve thought he misheard as he stared at the bona fide giant in front of him, trying to reconcile how a man could look likethatand eat something so childish as cotton candy ice cream. Whatever his thoughts, he remained professional and prepared Matteo’s order.

I suspected Matteo’s choice was calculated. “Sneaky,” I teased while we waited. “You could’ve picked something else.”

“I don’t mind. Maybe it’ll become my new favorite.” He grinned at me, making my stomach tighten.

God, he is too good-looking. How is he real?

“Here you go.” The kid handing out the ice cream gave me an appreciative once over as he held out my cone. A dog growled behind me, and the boy’s face dropped as he held out Matteo’s cup. “Here you go, sir,” he squeaked.

I turned, wondering who had brought their dog into an ice cream store. But besides the couples and small families, there were no animals in our vicinity.

Weird. I could’ve sworn …

I turned back to Matteo to find him licking the side of his cup where the ice cream leaked through the cracks. “Is your cup broken? We can ask for another.”

“No, it’s okay.” He glared at the kid as I brought the ice cream to my mouth and took a long lick. Ice cream was supposed to be a safe suggestion, but Matteo watched my tongue make a trail from the cone to the tip, and his Adam’s apple bobbed as he swallowed hard.

When I pulled back to lick my lips, he reached out suddenly and ran his thumb gently down the bridge of my nose. I’d gotten ice cream on my nose! I was horror-stricken until he brought his thumb to his mouth and sucked. Desire pooled in my belly, coiling through me to settle in my lady bits.Fuck.

“Raspberry,” he muttered to himself.

I frowned. “No, chocolate.”

He looked down at me, a fire burning behind his dark eyes as he smirked. “You. You taste like raspberry. Sweet and tart.” He stepped closer to me as he spoke, his voice low and dark like the words were only for me.

A blush blossomed on my cheeks, and I swallowed hard with anticipation. He reached out again, running his fingers along my jaw and slipping under my hair until he had the nape of my neck in his grip. He held me firmly, pausing only long enough to see if I would pull away before moving in to claim my mouth.